## Material
-- begin --
Molecular formula: C25H54BN2O26S6
Method: DFT, ωB97M-V/def2-TZVPD

```
114
Properties=species:S:1:pos:R:3:forces:R:3
C 6.1393 1.2784 2.1032 0.110 -0.023 0.081
C 5.4301 -0.0600 1.9112 -0.092 0.370 -0.164
C 4.0290 -0.0020 1.2462 0.328 -0.157 0.254
C 3.5528 1.3794 0.8116 -0.117 -0.372 -0.451
C 2.1732 1.3250 0.1198 0.287 -0.077 0.375
C 1.0826 2.2100 0.7641 0.445 -0.838 -0.438
C 0.0391 1.3462 1.4768 -0.019 1.178 -0.110
C -1.3040 2.0769 1.6799 0.954 -1.342 0.323
N -1.3678 2.5868 3.1342 -0.516 0.889 -0.468
C -2.2255 1.5839 3.8643 0.217 -0.442 0.530
N -2.4829 1.9378 5.2270 -0.316 0.236 -0.367
C -3.3312 1.4554 2.8363 0.691 0.084 -0.556
C -2.4731 1.0764 1.5872 -0.602 0.745 0.609
B -3.4326 1.1729 0.3296 -0.041 -0.468 -0.440
O -3.2346 2.1556 -0.6105 0.256 0.513 1.052
O -4.5056 0.3397 0.2428 0.364 0.020 -0.197
C -4.2926 -1.0846 0.2822 -0.370 -0.340 0.211
C -5.2862 -1.7611 1.2207 0.145 0.178 0.015
H 7.1034 1.0992 2.5772 0.076 0.037 0.028
H 6.3285 1.7890 1.1602 -0.018 0.021 -0.087
H 5.5842 1.9592 2.7465 -0.077 0.030 0.041
H 5.3540 -0.5254 2.8906 -0.010 -0.217 0.007
H 6.0775 -0.6842 1.2986 0.048 -0.169 0.078
H 3.3019 -0.4481 1.9308 -0.131 0.043 0.016
H 4.0514 -0.6524 0.3711 -0.143 -0.009 -0.095
H 3.5348 2.0520 1.6676 0.041 0.154 -0.001
H 4.2633 1.7527 0.0759 0.135 0.315 0.183
H 1.8567 0.2795 0.1301 -0.191 -0.034 -0.065
H 2.2908 1.5849 -0.9268 -0.011 0.109 -0.104
H 0.6134 2.7812 -0.0352 -0.167 0.233 0.153
H 1.5844 2.8795 1.4557 -0.230 0.402 0.052
H -0.1365 0.4526 0.8861 -0.067 -0.155 0.066
H 0.4350 1.0738 2.4589 -0.024 -0.474 -0.013
H -1.3472 2.9362 1.0213 -0.384 0.089 -0.034
H -0.4666 2.8361 3.5412 0.128 -0.402 0.088
H -1.9092 3.4532 3.1269 0.159 0.120 0.099
H -1.6144 0.6817 3.8744 -0.077 -0.139 -0.027
H -3.3473 2.4616 5.3160 0.059 0.178 0.029
H -2.6269 1.0882 5.7549 0.196 -0.007 0.207
H -3.7284 2.4614 2.6655 -0.569 -0.091 0.207
H -4.1103 0.7451 3.0814 -0.075 -0.037 0.061
H -2.1175 0.0802 1.8400 0.184 -0.175 -0.435
H -4.0135 2.6955 -0.7442 -0.371 -0.050 -0.716
H -4.4213 -1.4615 -0.7280 -0.029 0.097 -0.118
H -3.2694 -1.3226 0.5744 0.118 0.131 0.021
H -5.7981 -2.5677 0.7087 -0.147 0.006 0.058
H -6.0176 -1.0252 1.5467 -0.146 -0.026 -0.020
H -4.8031 -2.1788 2.1012 0.029 -0.021 0.079
C -7.6111 -5.8625 -0.8943 -0.101 -0.017 -0.264
C -6.6391 -6.9856 -1.1983 -0.094 -0.190 0.264
O -5.4017 -6.2965 -1.4596 -0.055 0.179 -0.146
S -5.3004 -4.9970 -0.5522 -0.188 -0.431 -0.157
O -4.5232 -5.2812 0.6000 0.130 0.209 0.156
O -4.9750 -3.8972 -1.3896 0.169 0.128 -0.016
O -6.8319 -4.9204 -0.1265 0.069 -0.149 0.054
H -7.9563 -5.3673 -1.8024 0.014 -0.001 0.001
H -8.4621 -6.1872 -0.3038 0.058 0.086 0.145
H -6.9162 -7.5680 -2.0709 0.146 0.061 -0.097
H -6.4955 -7.6476 -0.3439 -0.002 -0.001 -0.008
C 1.8663 1.3166 -5.8302 -0.100 -0.248 -0.212
C 1.0308 1.2666 -4.5715 -0.072 0.279 0.027
O 1.8798 0.5961 -3.6221 0.025 -0.116 -0.140
S 3.4100 0.9746 -3.9021 -0.307 0.052 -0.184
O 3.7916 2.0260 -3.0274 0.180 0.056 0.083
O 4.1577 -0.2238 -3.9818 0.113 -0.105 0.156
O 3.2002 1.5834 -5.3588 -0.074 0.131 0.189
H 1.8650 0.3592 -6.3518 -0.015 0.006 -0.005
H 1.5539 2.1006 -6.5099 0.153 0.082 0.014
H 0.1111 0.7043 -4.6988 0.060 -0.133 0.081
H 0.8045 2.2670 -4.1967 0.003 0.000 -0.013
C -1.5777 4.9783 -8.8069 -0.165 0.223 0.075
C -0.5996 5.1163 -7.6585 0.227 -0.023 -0.149
O -1.0609 4.1497 -6.6972 -0.138 0.055 -0.037
S -1.6817 2.8863 -7.4556 0.039 0.255 -0.144
O -0.7003 1.8626 -7.5411 0.046 -0.162 0.042
O -2.9590 2.6205 -6.9101 -0.084 -0.089 0.155
O -1.8201 3.5637 -8.8882 0.169 -0.054 0.038
H -2.5218 5.4833 -8.5994 0.009 0.001 0.012
H -1.1725 5.3271 -9.7518 0.007 -0.160 -0.065
H -0.6084 6.1037 -7.2076 -0.077 -0.056 0.143
H 0.4163 4.8558 -7.9600 -0.007 0.012 -0.015
C 2.4062 -0.8352 5.8627 -0.184 -0.161 -0.097
C 2.7174 -1.4519 7.2117 0.014 0.248 0.178
O 3.8319 -2.3071 6.9449 -0.059 -0.118 -0.201
S 4.7600 -1.6686 5.8090 -0.235 0.074 0.130
O 5.8287 -0.9633 6.4091 0.166 0.100 -0.055
O 4.9772 -2.6436 4.8082 0.081 -0.131 -0.062
O 3.6885 -0.5911 5.2802 0.040 0.057 0.140
-- stop --
## Exercise
Print all of the entries further above without additions.
## Written answer
Molecular formula: C25H54BN2O26S6
Method: DFT, ωB97M-V/def2-TZVPD

```
114
Properties=species:S:1:pos:R:3:forces:R:3
C 6.1393 1.2784 2.1032 0.110 -0.023 0.081
C 5.4301 -0.0600 1.9112 -0.092 0.370 -0.164
C 4.0290 -0.0020 1.2462 0.328 -0.157 0.254
C 3.5528 1.3794 0.8116 -0.117 -0.372 -0.451
C 2.1732 1.3250 0.1198 0.287 -0.077 0.375
C 1.0826 2.2100 0.7641 0.445 -0.838 -0.438
C 0.0391 1.3462 1.4768 -0.019 1.178 -0.110
C -1.3040 2.0769 1.6799 0.954 -1.342 0.323
N -1.3678 2.5868 3.1342 -0.516 0.889 -0.468
C -2.2255 1.5839 3.8643 0.217 -0.442 0.530
N -2.4829 1.9378 5.2270 -0.316 0.236 -0.367
C -3.3312 1.4554 2.8363 0.691 0.084 -0.556
C -2.4731 1.0764 1.5872 -0.602 0.745 0.609
B -3.4326 1.1729 0.3296 -0.041 -0.468 -0.440
O -3.2346 2.1556 -0.6105 0.256 0.513 1.052
O -4.5056 0.3397 0.2428 0.364 0.020 -0.197
C -4.2926 -1.0846 0.2822 -0.370 -0.340 0.211
C -5.2862 -1.7611 1.2207 0.145 0.178 0.015
H 7.1034 1.0992 2.5772 0.076 0.037 0.028
H 6.3285 1.7890 1.1602 -0.018 0.021 -0.087
H 5.5842 1.9592 2.7465 -0.077 0.030 0.041
H 5.3540 -0.5254 2.8906 -0.010 -0.217 0.007
H 6.0775 -0.6842 1.2986 0.048 -0.169 0.078
H 3.3019 -0.4481 1.9308 -0.131 0.043 0.016
H 4.0514 -0.6524 0.3711 -0.143 -0.009 -0.095
H 3.5348 2.0520 1.6676 0.041 0.154 -0.001
H 4.2633 1.7527 0.0759 0.135 0.315 0.183
H 1.8567 0.2795 0.1301 -0.191 -0.034 -0.065
H 2.2908 1.5849 -0.9268 -0.011 0.109 -0.104
H 0.6134 2.7812 -0.0352 -0.167 0.233 0.153
H 1.5844 2.8795 1.4557 -0.230 0.402 0.052
H -0.1365 0.4526 0.8861 -0.067 -0.155 0.066
H 0.4350 1.0738 2.4589 -0.024 -0.474 -0.013
H -1.3472 2.9362 1.0213 -0.384 0.089 -0.034
H -0.4666 2.8361 3.5412 0.128 -0.402 0.088
H -1.9092 3.4532 3.1269 0.159 0.120 0.099
H -1.6144 0.6817 3.8744 -0.077 -0.139 -0.027
H -3.3473 2.4616 5.3160 0.059 0.178 0.029
H -2.6269 1.0882 5.7549 0.196 -0.007 0.207
H -3.7284 2.4614 2.6655 -0.569 -0.091 0.207
H -4.1103 0.7451 3.0814 -0.075 -0.037 0.061
H -2.1175 0.0802 1.8400 0.184 -0.175 -0.435
H -4.0135 2.6955 -0.7442 -0.371 -0.050 -0.716
H -4.4213 -1.4615 -0.7280 -0.029 0.097 -0.118
H -3.2694 -1.3226 0.5744 0.118 0.131 0.021
H -5.7981 -2.5677 0.7087 -0.147 0.006 0.058
H -6.0176 -1.0252 1.5467 -0.146 -0.026 -0.020
H -4.8031 -2.1788 2.1012 0.029 -0.021 0.079
C -7.6111 -5.8625 -0.8943 -0.101 -0.017 -0.264
C -6.6391 -6.9856 -1.1983 -0.094 -0.190 0.264
O -5.4017 -6.2965 -1.4596 -0.055 0.179 -0.146
S -5.3004 -4.9970 -0.5522 -0.188 -0.431 -0.157
O -4.5232 -5.2812 0.6000 0.130 0.209 0.156
O -4.9750 -3.8972 -1.3896 0.169 0.128 -0.016
O -6.8319 -4.9204 -0.1265 0.069 -0.149 0.054
H -7.9563 -5.3673 -1.8024 0.014 -0.001 0.001
H -8.4621 -6.1872 -0.3038 0.058 0.086 0.145
H -6.9162 -7.5680 -2.0709 0.146 0.061 -0.097
H -6.4955 -7.6476 -0.3439 -0.002 -0.001 -0.008
C 1.8663 1.3166 -5.8302 -0.100 -0.248 -0.212
C 1.0308 1.2666 -4.5715 -0.072 0.279 0.027
O 1.8798 0.5961 -3.6221 0.025 -0.116 -0.140
S 3.4100 0.9746 -3.9021 -0.307 0.052 -0.184
O 3.7916 2.0260 -3.0274 0.180 0.056 0.083
O 4.1577 -0.2238 -3.9818 0.113 -0.105 0.156
O 3.2002 1.5834 -5.3588 -0.074 0.131 0.189
H 1.8650 0.3592 -6.3518 -0.015 0.006 -0.005
H 1.5539 2.1006 -6.5099 0.153 0.082 0.014
H 0.1111 0.7043 -4.6988 0.060 -0.133 0.081
H 0.8045 2.2670 -4.1967 0.003 0.000 -0.013
C -1.5777 4.9783 -8.8069 -0.165 0.223 0.075
C -0.5996 5.1163 -7.6585 0.227 -0.023 -0.149
O -1.0609 4.1497 -6.6972 -0.138 0.055 -0.037
S -1.6817 2.8863 -7.4556 0.039 0.255 -0.144
O -0.7003 1.8626 -7.5411 0.046 -0.162 0.042
O -2.9590 2.6205 -6.9101 -0.084 -0.089 0.155
O -1.8201 3.5637 -8.8882 0.169 -0.054 0.038
H -2.5218 5.4833 -8.5994 0.009 0.001 0.012
H -1.1725 5.3271 -9.7518 0.007 -0.160 -0.065
H -0.6084 6.1037 -7.2076 -0.077 -0.056 0.143
H 0.4163 4.8558 -7.9600 -0.007 0.012 -0.015
C 2.4062 -0.8352 5.8627 -0.184 -0.161 -0.097
C 2.7174 -1.4519 7.2117 0.014 0.248 0.178
O 3.8319 -2.3071 6.9449 -0.059 -0.118 -0.201
S 4.7600 -1.6686 5.8090 -0.235 0.074 0.130
O 5.8287 -0.9633 6.4091 0.166 0.100 -0.055
O 4.9772 -2.6436 4.8082 0.081 -0.131 -0.062
O 3.6885 -0.5911 5.2802 0.040 0.057 0.140